Ahoy! The decline of pirates in the world is the cause of the increasing of natural disasters! Or at least that is what you would believe if you were a Pastafarian!

This section is going to be random thoughts, while i get into this making a site thing

this old internet stuff is crazy. i really like the idea. Want to create my own, and put a lot of stuff here. i have come up with some plans and already have made some things work. but there is a lot to be done.

this raises a questions tho. motivation. how do i keep going? i've checked some websites. some people have them for years, and yet are starting to get lazy/unmotived to do the things they aways did.

i fear this will be another dead endeavor

i have, as any other, a number of unfinished projects. biggest problem, of course, motivation. I have been accumulating two parallel feelings towords productivity on the internet. i say "accumulating" more like a infected wound thats bloating. like a desease that eroded my digital self to almost desapearence. First is a emotional denial of the desire to monetize myself in every aspect that sugests profit. the way in which we transformed the internet from a space of interaction to a space of business, in a eternal dispute for attention and money, transforming ourselves in a version cathered to a specific demographic, eying for a specific sale, and using specific methods of growth, is something that triggers a gutural response in me. "hate it". "i hate this. hate what these persons are doing" "not giving you my money or time" and yet i know most of these are desperate atempts into financial success under a system that will squeeze everything out of anyone that needs to eat and have a roof over their heads. the second feeling that harasses me is of *being late*. late to the business. even if i swallow my despise and start to work towards a digital brand, im late. the eyes i desire are looking somewherelse. the ears i intend to sweetalk are already being whispered by older, better conceptualized and executed digital brands, that carved out their place. what i make will be weak, poorly constructed, with small following, unsufficient economic returns. *Late* but then came neocities. a renassaince of the digital self. absolute creativity and no monetization. a social media free of the constraints of consuming algorithms. its a journey inwards, not outwords, in the direction of someone's pocket. its actually so inwards that some of the websites dont even feel like they were meant for a visitor, but to the creator themselves. like they are tolareting the visits. and i feel the greatest pieces of art were made like this. not for others. for self.

== Records of crystals from another source follow ==
'''
No. 1
Here is an optimized crystal structure of KRbHgW2 from Alexandria via LeMat-Bulk. Energies are from PBE.

The space group is P4/mmm (123). For the density, the calculation gives 6.3 g/cm3. For the density of states at the Fermi level, the calculation gives 4.03 states/eV/cell. The formation enthalpy at 0 K is 1011 kJ/mol of formula units.

Cell: 5.409 6.201 5.409 Å, 90.00 90.00 90.00°
Fractional coordinates of all 5 atoms:
K  0.000  0.500  0.000
Rb  0.500  0.500  0.500
Hg  0.000  0.000  0.000
W  0.000  0.000  0.500
W  0.500  0.000  0.000

---

No. 2
Here is an optimized crystal structure of K2RbYHg from Alexandria via LeMat-Bulk. Energies are from PBE.

The space group is P4/mmm (123). For the density, the calculation gives 1.8 g/cm3. For the density of states at the Fermi level, the calculation gives 13.54 states/eV/cell. The formation enthalpy at 0 K is 370 kJ/mol of formula units.

Cell: 7.547 7.534 7.547 Å, 90.00 90.00 90.00°
Fractional coordinates of all 5 atoms:
Y  0.000  0.000  0.000
K  0.000  0.000  0.500
K  0.500  0.000  0.000
Hg  0.500  0.500  0.500
Rb  0.000  0.500  0.000

---

No. 3
Here is an optimized crystal structure of KRb2ZnHg from Alexandria via LeMat-Bulk. Energies are from PBE.

The space group is P4/mmm (123). For the density, the calculation gives 2.9 g/cm3. For the density of states at the Fermi level, the calculation gives 3.87 states/eV/cell. The formation enthalpy at 0 K is 19 kJ/mol of formula units. The energy above the most stable polymorph in this dataset is 0 kJ/mol of formula units.

Cell: 7.228 7.228 5.174 Å, 90.00 90.00 90.00°
Fractional coordinates of all 5 atoms:
K  0.500  0.500  0.500
Zn  0.000  0.000  0.500
Hg  0.000  0.000  0.000
Rb  0.000  0.500  0.000
Rb  0.500  0.000  0.000

---

No. 4
Here is an optimized crystal structure of KRbZnHg from Alexandria via LeMat-Bulk. Energies are from PBE.

The space group is F-43m (216). For the density, the calculation gives 4.0 g/cm3. For the density of states at the Fermi level, the calculation gives 2.32 states/eV/cell. The formation enthalpy at 0 K is 6 kJ/mol of formula units.

Cell: 6.117 6.117 6.117 Å, 60.00 60.00 60.00°
Fractional coordinates of all 4 atoms:
K  0.500  0.500  0.500
Zn  0.250  0.250  0.250
Hg  0.750  0.750  0.750
Rb  0.000  0.000  0.000

---

No. 5
Here is an optimized crystal structure of KRb2ZnHg from Alexandria via LeMat-Bulk. Energies are from PBE.

The space group is P4/mmm (123). For the density, the calculation gives 2.9 g/cm3. For the density of states at the Fermi level, the calculation gives 2.79 states/eV/cell. The formation enthalpy at 0 K is 25 kJ/mol of formula units. The energy above the most stable polymorph in this dataset is 5 kJ/mol of formula units.

Cell: 6.961 6.961 5.624 Å, 90.00 90.00 90.00°
Fractional coordinates of all 5 atoms:
K  0.500  0.500  0.500
Zn  0.000  0.000  0.000
Hg  0.000  0.000  0.500
Rb  0.000  0.500  0.000
Rb  0.500  0.000  0.000

---

No. 6
'''

(06/09) I still gonna update this website, but im playing way too much Palia to do so in a timely manner.

Palia. one of the childs of another renassaince: the farming games. these games were believed to be lost to the time, being remembered as the rare instances of ps1's Havest moon or facebook's side games such as Happy Farm. All of that changed when a single indie dev decided to make his own, and rebirth a entire category of games. Stardew valley now is one of the biggest indie successes and created a entire genre of cozy social and farming simulators. i argue that the huge acceptance that Stardew Valley had from the intended market relies on the combination of a good gameplay with a sistematic anti-capitalist ideology.

the game doesnt shy away from its ideology. the literal starting point to the game is the arrival of an external force that forces the main character into leaving his socio-economical and psychologial prison created by capitalism (also known as working a office job. or any boring-not-good-pay job). In the first minutes of the game, we already are bewitched by the dream of receiving as heirloom from a relative, a farm thats profitable throught a meaninful work-life balance. thats the only way we can dream about it: arriving by a external force. And talking bout a profit, what a profit. being a game, you dont "worry" about making money. Instead you're "excited" about making money because you barely have to spend any of it to maintain your survival and instead can reaply it into growing your farm indefinetly. It is paradoxally, a capitalist dream inside of a anti-capitalist game. This, however, is a very old phenomon in the gaming scene. a second (and even less discreet) ideological message against capitalism was the idea to embody it into the competitive and destructive Jojo company. The company stands in the game as a cold and distant means to unlock new areas and new features that are otherwise unlocked through means based in community efforts and inter-personal developtments with the neighbors. Instead of engaging with the variety of mechanics that the game offer to unlock these features, you can simply make a lot of money and pay the company to do it, themselves influenced by their own financial interests in the valley. Needless to say, the player is completely disencouraged from picking this "route". It is meant to be there, but *not* to be used in a meanignful playthrough.

In the end, tho, making money is still one of the main goals of the game. That means that infinite growth is not a problem. What stands as a problem is a infinite growth that happens against the creation of meaningful connections with the enviroment and with the surounding people. The game's message is not revolutionizing by any mean, nor it tries to be. By only criticizing some aspects of capitalism, the game doesnt want its destruction and replacement by a fairer sistem, it only wants its *correction*. And criticizing capitalism without REALLY criticizing capitalism is how you win the heart of millions of people and reagnite an entire genre of videogames. And this is where most of the farming simulator games stand today. Even Palia. Most of them create a setting in which being a farmer is somehow an act against the status quo. The retun to nature stands against capitalim's sacralization of metal and stone. In Palia itself, the entire human race and its super technology has literally died out long ago and now the main character stands with the nice people with meaningful work ethics. in the end we all want to quit boring jobs and have a positive bank account along with the time to make meaningful conections with people and marry Harvey. thats why the entire genre of cozy farming is so successful now. we all want to marry Harvey. No, wait

(my nickname in Palia is almablanca17, add me)